Dissertação de Mestrado
1.
# C28H25BF2N5O12

A 5-piece molecular cluster, C28H25BF2N5O12 overall (ωB97M-V/def2-TZVPD, the OMol25 dataset).

Last column: Mulliken charge in e.
CARTESIAN COORDINATES (ANGSTROEM)
O  2.758  3.289  -0.196  -0.55
C  2.202  2.542  -0.879  0.48
F  2.497  2.530  -2.162  -0.22
N  1.265  1.627  -0.300  0.47
C  1.749  0.294  -0.273  0.49
O  1.919  -0.240  0.727  -0.57
F  2.043  -0.299  -1.425  -0.27
C  -0.107  1.736  -0.882  -0.30
C  -1.201  2.503  -0.057  -0.35
O  -2.310  2.329  -0.942  -0.58
B  -1.731  2.199  -2.322  1.37
O  -0.236  2.344  -2.118  -0.93
H  -0.475  0.698  -1.069  0.20
H  -1.387  1.982  0.899  0.21
H  -1.086  3.600  -0.042  0.23
H  -1.825  1.028  -2.691  -0.34
H  -2.080  2.994  -3.135  -0.30
C  2.652  -4.054  1.200  -0.71
C  2.803  -5.404  0.903  -0.39
C  2.663  -5.847  -0.402  -0.45
C  2.377  -4.930  -1.400  -0.06
C  2.218  -3.582  -1.117  -0.40
C  2.356  -3.142  0.193  -0.32
N  2.254  -5.398  -2.787  1.03
O  2.381  -6.593  -2.996  -0.63
O  2.035  -4.568  -3.648  -0.60
H  2.767  -3.710  2.221  0.44
H  3.032  -6.110  1.692  0.41
H  2.781  -6.898  -0.627  0.48
H  1.991  -2.870  -1.899  0.61
H  2.237  -2.084  0.434  0.64
C  -7.676  3.928  -0.681  -0.35
C  -6.663  3.018  -0.952  -0.55
C  -5.668  3.335  -1.865  -0.14
C  -5.700  4.569  -2.493  0.01
C  -6.707  5.485  -2.237  -0.40
C  -7.700  5.159  -1.326  -0.38
N  -4.631  4.911  -3.440  1.00
O  -3.790  4.065  -3.641  -0.59
O  -4.655  6.024  -3.954  -0.64
H  -8.449  3.679  0.037  0.36
H  -6.646  2.060  -0.449  0.40
H  -4.879  2.623  -2.071  0.40
H  -6.728  6.444  -2.734  0.44
H  -8.492  5.867  -1.114  0.36
C  4.892  1.857  2.748  -0.33
C  4.729  3.031  2.022  -0.15
C  5.331  4.202  2.457  -0.59
C  6.095  4.182  3.614  0.08
C  6.259  3.019  4.349  -0.43
C  5.653  1.852  3.911  -0.43
N  6.755  5.414  4.065  1.00
O  6.579  6.425  3.411  -0.60
O  7.446  5.354  5.068  -0.62
H  4.425  0.942  2.404  0.43
H  4.132  3.031  1.115  0.44
H  5.201  5.113  1.890  0.46
H  6.852  3.008  5.253  0.43
H  5.775  0.936  4.475  0.38
C  -1.732  -7.214  0.840  -0.48
C  -2.371  -6.894  -0.350  -0.41
C  -2.584  -5.566  -0.689  -0.37
C  -2.149  -4.571  0.170  -0.09
C  -1.517  -4.878  1.362  -0.21
C  -1.309  -6.207  1.697  -0.46
N  -2.350  -3.161  -0.197  1.10
O  -2.927  -2.929  -1.241  -0.60
O  -1.925  -2.315  0.568  -0.60
H  -1.561  -8.252  1.100  0.38
H  -2.701  -7.680  -1.017  0.39
H  -3.082  -5.322  -1.617  0.46
H  -1.181  -4.100  2.034  0.48
H  -0.813  -6.458  2.626  0.40

Net charge: -1
DFT total energy in hartree: -2482.92371
Kohn-Sham gap in eV: 5.63


2.
# C5H7NO

C5H7NO as an isolated structure (ωB97M-V/def2-TZVPD, the OMol25 dataset).

Last column: natural (NBO) charge in e.
CARTESIAN COORDINATES (ANGSTROEM)
C  -1.195  -0.946  0.097  -0.25
C  -1.140  0.357  -0.686  0.09
O  -0.808  1.385  0.261  -0.52
C  0.599  1.088  0.202  0.06
C  1.144  -0.160  0.895  -0.24
N  0.305  -1.067  0.074  -0.42
C  0.390  0.063  -0.919  -0.12
H  -1.694  -0.896  1.072  0.21
H  -1.602  -1.791  -0.473  0.20
# End of the quantum chemistry results
Deslocamentos Identitários de Professores no Discurso sobre sua Prática de Avaliação no Processo de Educação Continuada
=====
Molecular formula: C29H29CdN5O3S4
Method: DFT, the ωB97M-V functional and the def2-TZVPD basis

- maximum force (eV Å⁻¹) = 0.3
- E (eV) = -92043.3245
- HOMO-LUMO gap (eV) = 7.054
- molecular weight (u) = 736.3
- charge = -2
- energy above the lowest of the compared OMol25 structures with the same formula, charge and spin (kJ/mol) = 0.00

Structure (XYZ):
```
71
Properties=species:S:1:pos:R:3:forces:R:3
Cd -0.1574 -0.4830 1.3452 -0.07 0.08 -0.02
S 0.0488 -5.0655 5.4213 0.01 0.02 -0.01
S 1.6269 -0.6520 -1.6258 0.01 0.01 0.00
S 0.9944 -0.4573 -6.3189 0.02 0.02 0.05
S -1.5797 -3.4147 3.5137 -0.01 0.05 0.04
O 1.6526 -0.8868 -0.1326 -0.03 -0.02 0.03
O -2.0549 -1.5660 0.9851 -0.01 -0.05 0.00
O -2.5578 1.0796 2.2630 0.03 -0.04 0.04
N 3.6574 0.3211 -6.8871 0.02 0.01 0.07
N 1.1955 -0.8924 3.0437 0.29 -0.03 -0.20
N -0.8636 -2.5919 5.8290 0.01 -0.01 0.00
N 2.7177 -1.2150 4.9459 -0.05 0.06 0.00
N 1.7035 -1.2837 7.2102 0.00 0.03 0.02
C -1.4366 -1.3935 5.2297 0.02 0.00 -0.03
C 3.6585 -0.3488 -3.4330 0.02 0.01 -0.01
C 1.1997 1.0722 -1.8491 0.00 -0.01 -0.01
C 5.6597 -0.4918 -1.5023 0.00 0.00 0.00
C -2.5262 -0.4915 -1.1263 0.02 0.01 -0.01
C -1.9382 0.8192 0.9748 0.05 0.02 -0.06
C -2.6650 -0.4504 0.4065 0.00 -0.02 0.11
C 0.5559 3.7164 -2.2126 0.00 0.00 -0.01
C -1.6318 -1.3847 -1.7066 0.01 -0.01 0.00
C -1.4497 -1.4387 -3.0853 -0.01 0.01 -0.01
C -3.0986 0.2703 -3.3584 -0.01 0.01 0.00
C 2.5587 0.0070 -6.6536 -0.03 -0.02 -0.13
C 4.9890 -0.2383 -3.8069 0.00 -0.01 0.00
C -2.1761 -0.6050 -3.9201 0.00 -0.01 0.00
C 0.3077 2.8009 -3.2243 0.00 0.01 0.00
C 1.1286 3.3042 -1.0142 0.00 0.00 0.01
C -4.1625 -0.4592 0.7608 -0.04 0.00 -0.03
C 1.4553 1.9722 -0.8254 0.00 0.01 0.00
C -1.9897 2.0994 0.1661 -0.04 0.00 0.02
C 1.9159 -1.0453 3.9436 -0.22 -0.03 0.21
C -1.7802 1.8167 3.1560 0.00 0.01 -0.01
C -3.2727 0.3211 -1.9835 0.01 0.01 -0.01
C -0.7660 -3.6706 5.0387 0.03 -0.12 -0.01
C 3.3519 -0.5137 -2.0898 0.01 0.01 -0.01
C 0.6248 1.4601 -3.0471 0.00 0.00 0.00
C 2.1527 -1.2427 6.1396 0.04 -0.07 -0.07
C -2.3488 -1.8863 4.1141 -0.07 0.06 0.02
C 4.3301 -0.5967 -1.1145 0.00 0.00 0.00
C 5.9855 -0.3098 -2.8400 0.00 0.00 0.00
H -4.6384 -1.3118 0.2723 0.00 0.00 0.00
H -1.6424 2.8603 2.8432 0.00 0.00 0.00
H 5.2164 -0.0996 -4.8565 0.00 0.01 0.00
H -4.2729 -0.5618 1.8381 0.02 0.00 0.00
H -3.9920 1.0182 -1.5723 0.00 0.00 0.00
H -3.6811 0.9249 -3.9976 0.00 0.00 0.00
H 0.2947 4.7583 -2.3524 0.00 0.00 0.00
H -4.6756 0.4580 0.4553 0.00 0.00 -0.01
H -1.0995 -2.0586 -1.0461 0.00 0.00 0.00
H 2.8821 -0.3010 -4.1895 -0.03 -0.02 0.03
H -1.9933 -0.8315 5.9804 0.00 0.01 0.00
H -1.5432 1.9722 -0.8191 0.01 -0.01 0.00
H 1.8918 1.6227 0.1023 0.00 0.00 0.00
H -0.7244 -2.1217 -3.5119 0.00 0.00 0.00
H -0.1379 3.1178 -4.1582 0.00 0.00 0.00
H -3.3441 -2.1208 4.4949 0.01 -0.02 0.00
H 1.3096 4.0197 -0.2219 0.00 0.00 0.00
H -1.4311 2.8927 0.6685 0.00 0.00 -0.01
H 4.0420 -0.7446 -0.0817 0.00 0.00 0.00
H -2.4337 -1.1916 3.2808 0.01 -0.01 -0.05
H 7.0255 -0.2283 -3.1329 0.00 0.00 0.00
H -3.0232 2.4566 0.0356 0.00 0.00 0.00
=====
Back to the piece =
Fernanda de Fatima Serakides Hon
In this study we investigate the representations of teachers of English as a foreign language who work for public schools in the city of Belo Horizonte/MG and its surroundings about language, foreign language and its assessment process. Our central point is mainly based on the discourse (re)produced by those in-service teachers about assessment within a continuing education program. This study adopts some of the most important Discourse Analysis and Psychoanalysis concepts to analyze its data related to the assessment process of the foreign language so that this work has the typical interdisciplinary characteristic of the Applied Linguistics area. Through a discursive perspective webelieve that peoples identity and their discourse are socially, historically and ideologically built and they are forever incomplete and constituted in and by language. Because of that in this research we present the concept of a historically built assessment in the fields of Education as well as Applied Linguistics. Our corpus is based on the discourse of participant teachers of a continuing education program. Through audio-recorded interviews with these teachers at the beginning and at the end of thiscourse and also through class observation notes we had access to the participant teachers discourse and their representations which produce effects in their learning of the foreign language and their professional practice. We also tried to observe the (possible) identity movements in the teachers discourse and their contradictions concerning the assessment process along their participation in the continuing education program. The analysis developed here is based on the concepts of interpretation, discursive resonances, which are the repetition of lexical choices that contribute to a predominant meaning, and contradiction. Through our interpretation gestures of the heterogeneity, conflicts andcontradictions present in the participant teachers discourse we tried to observe their representations about language, foreign language and its assessment process. We could notice that these teachers areconstituted by several representations and that these representations produce effects in their teaching practice even unconsciously. In this way, we discuss the effects of the scientific discourse (or university discourse) produced by the continuing education program on the discourse of theseparticipant teachers because many times they are resistant to external movements, and only repeat the new concepts but do not really use them in their pedagogical practice.